Activity:
Could you set down the listing further below from the line with "0.482 0.547" to the end without additions?

File:
********
No. 1
Structure and simulated X-ray powder pattern of Ca4SeN4 (the PBE geometry in the Materials Project; Cu Kα (weighted mean of Kα1 and Kα2)).

Most intense lines, 2θ = 10–90°, by angle:
- 2θ = 18.00°, I 335
- 2θ = 18.11°, I 330
- 2θ = 18.37°, I 237
- 2θ = 29.30°, I 1000
- 2θ = 31.49°, I 631
- 2θ = 31.64°, I 659
- 2θ = 31.88°, I 732
- 2θ = 31.91°, I 720
- 2θ = 34.80°, I 730
- 2θ = 44.86°, I 380
- 2θ = 45.99°, I 315
- 2θ = 46.24°, I 332

Structural model:
```
Ca4SeN4
1.0
6.320 0.000 0.000
2.060 6.011 0.000
1.122 2.888 8.360
Ca Se N
8 2 8
Direct
0.009 0.291 0.422 Ca
0.099 0.824 0.163 Ca
0.293 0.295 0.000 Ca
0.485 0.237 0.575 Ca
0.515 0.763 0.425 Ca
0.707 0.705 0.000 Ca
0.901 0.176 0.837 Ca
0.991 0.709 0.578 Ca
0.307 0.799 0.796 Se
0.693 0.201 0.204 Se
0.048 0.729 0.882 N
0.241 0.562 0.397 N
0.255 0.951 0.590 N
0.326 0.017 0.881 N
0.674 0.983 0.119 N
0.745 0.049 0.410 N
0.759 0.438 0.603 N
0.952 0.271 0.118 N
```



No. 2
Structure and simulated X-ray powder pattern of Ca2SnS4 (the PBE geometry in the Materials Project; Cu Kα (weighted mean of Kα1 and Kα2)).

Most intense lines, 2θ = 10–90°, by angle:
- 2θ = 15.04°, I 307
- 2θ = 17.92°, I 1000
- 2θ = 18.39°, I 644
- 2θ = 24.83°, I 319
- 2θ = 25.71°, I 507
- 2θ = 25.86°, I 936
- 2θ = 30.33°, I 269
- 2θ = 31.15°, I 314
- 2θ = 35.51°, I 271
- 2θ = 36.30°, I 307
- 2θ = 40.27°, I 364
- 2θ = 41.76°, I 299

Structural model:
```
Ca2SnS4
1.0
16.808 0.000 0.000
0.000 7.171 0.000
0.000 0.000 11.783
Ca Sn S
16 8 32
Direct
0.051 0.210 0.114 Ca
0.120 0.193 0.751 Ca
0.123 0.728 0.363 Ca
0.188 0.681 0.000 Ca
0.312 0.181 0.500 Ca
0.377 0.228 0.863 Ca
0.380 0.693 0.251 Ca
0.449 0.710 0.614 Ca
0.551 0.290 0.114 Ca
0.620 0.307 0.751 Ca
0.623 0.772 0.363 Ca
0.688 0.819 0.000 Ca
0.812 0.319 0.500 Ca
0.877 0.272 0.863 Ca
0.880 0.807 0.251 Ca
0.949 0.790 0.614 Ca
0.028 0.281 0.471 Sn
0.236 0.688 0.643 Sn
0.264 0.188 0.143 Sn
0.472 0.781 0.971 Sn
0.528 0.219 0.471 Sn
0.736 0.812 0.643 Sn
0.764 0.312 0.143 Sn
0.972 0.719 0.971 Sn
0.018 0.047 0.331 S
0.033 0.431 0.912 S
0.047 0.805 0.135 S
0.119 0.862 0.594 S
0.159 0.359 0.534 S
0.177 0.455 0.194 S
0.182 0.088 0.980 S
0.240 0.474 0.803 S
0.260 0.974 0.303 S
0.318 0.588 0.480 S
0.323 0.955 0.694 S
0.341 0.859 0.034 S
0.381 0.362 0.094 S
0.453 0.305 0.635 S
0.467 0.931 0.412 S
0.482 0.547 0.831 S
0.518 0.453 0.331 S
0.533 0.069 0.912 S
0.547 0.695 0.135 S
0.619 0.638 0.594 S
0.659 0.141 0.534 S
0.677 0.045 0.194 S
0.682 0.412 0.980 S
0.740 0.026 0.803 S
0.760 0.526 0.303 S
0.818 0.912 0.480 S
0.823 0.545 0.694 S
0.841 0.641 0.034 S
0.881 0.138 0.094 S
0.953 0.195 0.635 S
0.967 0.569 0.412 S
0.982 0.953 0.831 S
```



No. 3
Structure and simulated X-ray powder pattern of Ag2Se (the PBE geometry in the Materials Project; Cu Kα (weighted mean of Kα1 and Kα2)).

Most intense lines, 2θ = 10–90°, by angle:
- 2θ = 15.92°, I 339
- 2θ = 19.83°, I 153
- 2θ = 20.78°, I 1000
- 2θ = 33.14°, I 231
- 2θ = 33.49°, I 393
- 2θ = 36.20°, I 161
- 2θ = 36.37°, I 201
- 2θ = 36.75°, I 287
- 2θ = 40.78°, I 138
- 2θ = 42.28°, I 214
- 2θ = 42.59°, I 211
- 2θ = 44.71°, I 309

Structural model:
```
Ag2Se
1.0
4.891 0.000 0.000
0.000 6.673 0.000
0.000 0.000 11.136
Ag Se
8 4
Direct
0.017 0.193 0.249 Ag
0.046 0.528 0.648 Ag
0.454 0.472 0.148 Ag
0.483 0.807 0.749 Ag
0.517 0.307 0.751 Ag
0.546 0.972 0.352 Ag
0.954 0.028 0.852 Ag
0.983 0.693 0.251 Ag
0.050 0.943 0.418 Se
0.450 0.057 0.918 Se
0.550 0.557 0.582 Se
0.950 0.443 0.082 Se
```



No. 4
Structure and simulated X-ray powder pattern of Cs3LiCl4 (the PBE geometry in the Materials Project; Cu Kα (weighted mean of Kα1 and Kα2)).

Most intense lines, 2θ = 10–90°, by angle:
- 2θ = 16.13°, I 226
- 2θ = 21.48°, I 320
- 2θ = 22.20°, I 525
- 2θ = 23.23°, I 201
- 2θ = 27.28°, I 413
- 2θ = 27.84°, I 1000
- 2θ = 30.31°, I 291
- 2θ = 34.05°, I 685
- 2θ = 35.43°, I 243
- 2θ = 41.42°, I 225
- 2θ = 45.29°, I 275
- 2θ = 56.60°, I 228

Structural model:
```
Cs3LiCl4
1.0
10.134 0.000 0.000
0.000 4.360 0.000
0.000 0.000 13.074
Cs Li Cl
6 2 8
Direct
********

Result:
0.482 0.547 0.831 S
0.518 0.453 0.331 S
0.533 0.069 0.912 S
0.547 0.695 0.135 S
0.619 0.638 0.594 S
0.659 0.141 0.534 S
0.677 0.045 0.194 S
0.682 0.412 0.980 S
0.740 0.026 0.803 S
0.760 0.526 0.303 S
0.818 0.912 0.480 S
0.823 0.545 0.694 S
0.841 0.641 0.034 S
0.881 0.138 0.094 S
0.953 0.195 0.635 S
0.967 0.569 0.412 S
0.982 0.953 0.831 S
```



No. 3
Structure and simulated X-ray powder pattern of Ag2Se (the PBE geometry in the Materials Project; Cu Kα (weighted mean of Kα1 and Kα2)).

Most intense lines, 2θ = 10–90°, by angle:
- 2θ = 15.92°, I 339
- 2θ = 19.83°, I 153
- 2θ = 20.78°, I 1000
- 2θ = 33.14°, I 231
- 2θ = 33.49°, I 393
- 2θ = 36.20°, I 161
- 2θ = 36.37°, I 201
- 2θ = 36.75°, I 287
- 2θ = 40.78°, I 138
- 2θ = 42.28°, I 214
- 2θ = 42.59°, I 211
- 2θ = 44.71°, I 309

Structural model:
```
Ag2Se
1.0
4.891 0.000 0.000
0.000 6.673 0.000
0.000 0.000 11.136
Ag Se
8 4
Direct
0.017 0.193 0.249 Ag
0.046 0.528 0.648 Ag
0.454 0.472 0.148 Ag
0.483 0.807 0.749 Ag
0.517 0.307 0.751 Ag
0.546 0.972 0.352 Ag
0.954 0.028 0.852 Ag
0.983 0.693 0.251 Ag
0.050 0.943 0.418 Se
0.450 0.057 0.918 Se
0.550 0.557 0.582 Se
0.950 0.443 0.082 Se
```



No. 4
Structure and simulated X-ray powder pattern of Cs3LiCl4 (the PBE geometry in the Materials Project; Cu Kα (weighted mean of Kα1 and Kα2)).

Most intense lines, 2θ = 10–90°, by angle:
- 2θ = 16.13°, I 226
- 2θ = 21.48°, I 320
- 2θ = 22.20°, I 525
- 2θ = 23.23°, I 201
- 2θ = 27.28°, I 413
- 2θ = 27.84°, I 1000
- 2θ = 30.31°, I 291
- 2θ = 34.05°, I 685
- 2θ = 35.43°, I 243
- 2θ = 41.42°, I 225
- 2θ = 45.29°, I 275
- 2θ = 56.60°, I 228

Structural model:
```
Cs3LiCl4
1.0
10.134 0.000 0.000
0.000 4.360 0.000
0.000 0.000 13.074
Cs Li Cl
6 2 8
Direct